Directions and Map
Arbor Heights Directions and Map
Arbor Heights Address and Map
Arbor Heights Elementary is located in the Arbor Heights neighborhood of West Seattle at 3701 SW 104th St. between 35th Ave SW and 39th Ave SW.
Morning Arrival Overview
- Students can begin arriving at school at 7:35 a.m. when supervision begins.
- Students eating breakfast at school go immediately to the lunchroom.
- Students not eating breakfast go immediately to the playfield.
- For health and safety, only students and staff are allowed in the building or on the playfield.
- Students should be on the playfield by 7:50 a.m. when the first bell rings to line up with their class.
- When the final bell rings at 7:55 a.m., teachers will begin walking their students into class.
- Any student arriving after the final bell rings at 7:55 a.m. must come through the front door entry and into the office to receive a late pass.
- If for any reason you need to park, please use one of the side streets near the school e.g. 36th Ave SW, 37th Ave SW, 37th Ave Place SW, or 38th Ave SW. We do not want anyone parking on 104th and 105th for safety reasons. The streets are too narrow for buses, parked cars, two-way car traffic, walkers, bikers, etc. to navigate safely.
- We are in the process of working with SDOT on some traffic and safety improvements.
Front Door Entry for Drive-Thru Drop-off

- Students who are dropped off by car in the school driveway roundabout by the front entrance will be able to use the school’s front doors to access the lunchroom and playfield.
_Calculated molecules from another source follow_
/*
DFT (ωB97M-V/def2-TZVPD) results for C4H11NOS in the gas phase.

Values from the calculation:
- Total charge: 0
- F_max: 2.13 eV/A
- DFT total energy: -18698.89320 eV
- SMILES: N[C@H](CO)CCS
- Relative energy (zero: lowest compared OMol25 entry of this formula, charge and spin): 23.6 kcal/mol

Atoms and positions in Å:
N 0.73 1.12 -1.18
C 0.64 0.35 0.06
C 1.95 0.42 0.85
O 2.12 1.73 1.40
C 0.34 -1.13 -0.29
C -0.97 -1.25 -1.04
S -2.44 -0.75 -0.06
H 0.77 2.11 -0.92
H 1.67 0.98 -1.55
H -0.17 0.61 0.71
H 1.92 -0.27 1.70
H 2.83 0.23 0.24
H 1.62 1.85 2.20
H 0.31 -1.69 0.63
H 1.13 -1.56 -0.92
H -0.99 -0.73 -1.99
H -1.13 -2.30 -1.25
H -2.30 -1.78 0.78

Atomic partial charges in e from the Mulliken method, atoms 1 to 2: number 1, N, carries -0.691; number 2, C, carries 0.309

DFT (ωB97M-V/def2-TZVPD) results for 2 unconnected molecules or ions with the total composition C4H11NOS.

Values from the calculation:
- Total charge: 0
- F_max: 4.27 eV/A
- DFT total energy: -18696.55840 eV
- SMILES: C/C=C/C.NSO
- Relative energy (zero: lowest compared OMol25 entry of this formula, charge and spin): 77.5 kcal/mol

Atoms and positions in Å:
C 0.00 1.45 -1.77
C -0.43 1.61 -0.37
C -0.82 0.62 0.38
C -1.29 0.61 1.81
H 0.99 1.23 -1.87
H -0.61 0.63 -2.28
H -0.27 2.36 -2.29
H -0.12 2.61 0.08
H -1.07 -0.19 -0.26
H -1.03 1.55 2.48
H -2.39 0.50 1.85
H -0.95 -0.24 2.30
N 1.37 -1.68 -1.04
S 0.68 -1.45 0.46
O 1.60 -2.43 1.56
H 2.23 -1.41 -1.44
H 0.94 -2.57 -1.39
H 1.16 -3.19 1.80

Atomic partial charges in e from the Mulliken method, atoms 1 to 2: number 1, C, carries -1.217; number 2, C, carries 0.074

DFT (ωB97M-V/def2-TZVPD) results for C4H11NOS in the gas phase.

Values from the calculation:
- Total charge: 0
- F_max: 3.65 eV/A
- DFT total energy: -18697.38273 eV
- Relative energy (zero: lowest compared OMol25 entry of this formula, charge and spin): 58.5 kcal/mol

Atoms and positions in Å:
C -0.49 -0.15 -1.58
C -0.91 0.74 0.75
C 2.06 0.79 1.59
C -0.05 -0.04 -0.17
N -2.30 0.34 0.46
O 2.46 0.39 -1.12
S 1.55 1.09 -0.19
H -0.90 -1.16 -1.70
H -1.22 0.57 -1.96
H 0.43 -0.02 -2.17
H -0.68 0.43 1.76
H -3.00 0.85 1.06
H -0.79 1.85 0.77
H 3.07 0.43 1.50
H 2.16 1.73 2.22
H 1.32 0.26 2.14
H 0.34 -0.93 0.29
H -2.51 0.58 -0.57

Atomic partial charges in e from the Mulliken method, atoms 1 to 2: number 1, C, carries -1.364; number 2, C, carries -0.758

DFT (ωB97M-V/def2-TZVPD) results for C4H11NOS in the gas phase.

Values from the calculation:
- Total charge: 0
- F_max: 2.89 eV/A
- DFT total energy: -18698.50113 eV
- SMILES: N[C@H](CO)CCS
- Relative energy (zero: lowest compared OMol25 entry of this formula, charge and spin): 32.7 kcal/mol

Atoms and positions in Å:
N 0.84 -1.13 -1.61
C -0.06 -0.63 -0.60
C -0.58 0.78 -0.93
O -1.60 0.74 -1.93
C 0.56 -0.60 0.84
C -0.37 -0.19 1.94
S 0.07 1.45 2.75
H 1.61 -0.51 -1.83
H 0.36 -1.31 -2.48
H -0.94 -1.28 -0.62
H -1.02 1.18 -0.02
H 0.27 1.41 -1.19
H -1.16 1.02 -2.76
H 1.36 0.13 0.69
H 0.99 -1.60 0.88
H -1.41 -0.07 1.64
H -0.32 -0.81 2.83
*/
_Here the entry continues_
- We encourage drivers to enter the school driveway on SW 104th from 35th Ave SW.
- Drivers must exit the school driveway by taking a right turn on SW 105th to head west (towards 39th Ave SW).
104th & 105th Gate Entries and Walk Areas

- Students may enter the playfield through the gates on SW 104th or SW 105th.
- If a parent/guardian walks with their child to the gate, please say your goodbyes on the sidewalk as only students and staff are allowed on the playfield.
- There is a very small area for students to be dropped off by car on SW 104th (west of 104th field gate) on the sidewalk (school side) of the street. While we prefer families to use the school driveway roundabout, if you do decide to use this zone, please stop and drop off only (no parking).
- The non-sidewalk sides of SW 104th and SW 105th are No Drop-Off/Pick-Up zones. Please keep your children safe by only dropping them off in a designated area.
- The is NO PARKING on either side of the street on SW 104th and SW 105th.
105th Drop-off Areas for PreK and K Only

- Students in PreK and K may be dropped off by car on SW 105th. Please stop and drop off in a designated area on the sidewalk (school side) of the street.
- Drivers are encouraged to enter SW 105th from 35th Ave SW and head west towards 39th Ave SW. The street is narrow!
- There is NO PARKING on SW 105th. Be a good neighbor, please!
- The non-sidewalk sides of SW 104th and SW 105th are No Drop-off/Pick-up zones. Please keep your children safe by only dropping them off in a designated area.
- If a parent/guardian walks with their child to the gate, please say your goodbyes on the sidewalk, as only students and staff are allowed on the playfield.
Afternoon Dismissal Overview
- Students are dismissed at 2:25 p.m. (1:10 p.m. on Wednesdays).
- Students getting picked up by a parent/guardian or designated caregiver can:
- Get picked up by car in the driveway roundabout.
- Get picked up by car on SW 105th (for PreK and K students only).
- Meet their parent/guardian or caregiver at the 104th or 105th gates.
- Meet their parent/guardian or caregiver at the PreK or K gates (for PreK and K students only).
- Parents/guardians are responsible for providing their child’s teacher at the beginning of the school year with their child’s regular dismissal plan.
- Any student not picked up within 10 minutes of the dismissal bell will be brought to the school office, and one of our office staff will call parents/guardians. Students will ONLY be released to a parent/guardian or another authorized pick-up person on file.